- Logfile improved. New file for each process, with UTC datetime in name.
- Model ConnectionStatus refactorized to SessionStatus
- Send Position page in configuration tab.
- Height is set in configuration.
- Using solys v0.2.1a1.
- Cross/Mesh informs the user of next step and number of remaining steps.
- Removed minimum size, now it's just initial size.
- Added missing imports
- Changed Set Position Azimuth maximum and minimum.
- Set position input now has the current value initially.
- Save log folder fixed.
- Fixed bug with position widget
- Adjust step set to 0.01.
- Cross/Mesh now says performed steps instead of remaining steps.
- Current adjustment label rounded to fourth decimal.
- Data from the ASD is saved in config tab.
- It should work with the ASD.
- Connection with ASD smoother, doesn't block GUI.
- Cross/Mesh informs about errors.
- ASD connection is closed after cross.
- Change Cross/Mesh measuring message when using ASD.
- Cross/Mesh ASD Pre-Checked when ASD ip is set.
- Using asdcontroller==0.0.3
- Default countdown value depends on if the checkbox is initially checked or not.
(What comes next are molecular data, not part of the piece)
~~~
{"formula": "C2H12N5", "method": "ωB97M-V with the def2-TZVPD basis set", "lumo_energy_ev": -3.14, "charge": 1, "mol_weight_g_mol": 106.15, "e_homo_ev": -14.661, "homo_lumo_gap_ev": 11.52, "e_above_lowest_kj_mol": 628.96, "symbols": ["N", "N", "N", "N", "N", "C", "C", "H", "H", "H", "H", "H", "H", "H", "H", "H", "H", "H", "H"], "coordinates": [[2.210, 1.162, -0.378], [0.189, 1.470, 0.673], [1.399, -0.368, 1.216], [0.282, -0.244, -0.801], [1.017, 0.541, 0.215], [-1.973, -0.084, -0.019], [-0.751, -1.065, -0.188], [-1.814, 0.843, -0.501], [2.427, -0.603, 1.142], [-0.413, -1.439, 0.750], [0.948, -0.782, -1.297], [-0.964, -1.947, -0.884], [2.704, 0.397, -0.885], [1.108, 0.010, 2.134], [-2.169, -0.014, 0.995], [0.666, 1.967, 1.497], [-2.838, -0.551, -0.535], [-0.706, 1.221, 0.816], [1.928, 1.936, -1.109]], "mulliken_charge": [-0.695, -0.763, -0.537, -0.461, 1.125, -1.475, -0.204, 0.475, 0.275, 0.318, 0.316, 0.420, 0.313, 0.272, 0.428, 0.318, 0.303, 0.231, 0.340]}

~~~~~

Entry 1:
~~~
- Fixed bug when showing "MEASURING...", "MEASURE NOW" message.
- Fixed error in asd_acquire callback in Cross/Mesh
- Fixed the asd data printing format.
- ASD data printing format now followes Fieldspec format for spanish language.
- ASD data printing now prints more data.
- ASD data printing now with tab instead of space.
- Using asdcontroller==0.0.5
- Using asdcontroller==0.0.6
- Cross with ASD now tracks body temporarily.
- Change order of instantiating Cross Widget crosser attribute.
- Not sending logger to ConnectASDWorker Tracker, as it would close them when stopping the tracking.
- ConnectASDWorker Tracker has logger that logs only to the logfile.
- Using asdcontroller==0.0.10
- Using solys2==0.2.2
- Track option should capture ASD data if indicated.
- Corrected track gui bug.
- BodyTrackWidget now doesnt get blocked initially when connecting, and the optimization is done pointing to the body.
- Added graph when using ASD.
- Graph in a window, trying to improve the graph, more data, and only closes when tracking finishes.
- Graph bugs fixed.
- Drift not substracted in track.
- Track printing all vnir-header data to file.
- Using solys2==0.2.3
- Using spicedmoon==1.0.1
Attached: data records =
Record 1
ORCA calculation (ωB97M-V/def2-TZVPD) on 2 unconnected molecules or ions with the total composition C9H15NOP.

Calculated values
E_HOMO (spin up / spin down): -11.65 / -11.65 eV
frontier orbital gap (spin up / spin down): 7.92 / 7.92 eV
charge: +1
LUMO energy (spin up / spin down): -3.723 / -3.724 eV
total energy: -22392.81919 eV
energy above the lowest of the compared OMol25 structures with the same formula, charge and spin: 245.8 kJ/mol

```
27
C9H15NOP, DFT ωB97M-V/def2-TZVPD
C 0.571 -2.919 -2.103
C 1.429 -1.845 -2.253
C -0.252 -3.016 -1.015
C 1.360 -0.828 -1.383
C -0.190 -2.022 -0.032
C 0.584 -0.888 -0.247
C -1.479 1.111 -1.517
C -1.146 1.498 -0.194
C 0.623 0.193 0.725
N 0.109 -0.219 2.112
O 1.842 1.589 2.549
P 2.242 1.197 0.964
H 0.374 -3.606 -2.967
H 1.833 -1.537 -3.249
H -0.943 -3.947 -0.892
H 2.099 -0.007 -1.343
H -0.886 -2.075 0.752
H -1.784 1.930 -2.207
H -2.235 0.282 -1.564
H -0.602 0.811 -2.179
H -1.841 1.176 0.551
H -0.736 2.522 -0.143
H 0.003 0.707 2.590
H -0.712 -0.841 2.012
H 0.779 -0.843 2.634
H 2.482 2.179 2.930
H 1.757 2.290 0.240
```

***

Record 2
ORCA calculation (ωB97M-V/def2-TZVPD) on a molecular structure, C5H8.

Calculated values
E_HOMO: -9.31 eV
frontier orbital gap: 10.32 eV
LUMO energy: 1.005 eV
total energy: -5309.96670 eV
energy above the lowest of the compared OMol25 structures with the same formula, charge and spin: 405.3 kJ/mol

```
13
C5H8, DFT ωB97M-V/def2-TZVPD
C -0.221 -0.575 0.932
C -1.325 -0.158 -0.078
C -0.305 1.125 -1.432
C 0.867 0.773 -0.905
C 1.132 -0.167 0.264
H -0.280 -1.651 1.099
H -0.334 -0.072 1.901
H -1.339 -0.847 -0.923
H -2.360 0.101 0.171
H -0.908 0.873 -0.150
H 1.711 1.211 -1.438
H 1.652 -1.053 -0.122
H 1.828 0.304 0.972
```

***

Record 3
ORCA calculation (ωB97M-V/def2-TZVPD) on a molecular structure, C29H38O4P2PdS3.

Calculated values
E_HOMO: -7.55 eV
frontier orbital gap: 7.98 eV
LUMO energy: 0.429 eV
total energy: -93447.07973 eV
energy above the lowest of the compared OMol25 structures with the same formula, charge and spin: 0.0 kJ/mol

```
77
C29H38O4P2PdS3, DFT ωB97M-V/def2-TZVPD
Pd -0.616 0.399 -0.299
O 0.354 0.765 2.292
C -0.309 0.035 1.609
C -0.892 -1.236 2.180
C -1.061 -1.424 3.548
C -1.598 -2.617 4.001
C -1.943 -3.624 3.104
C -1.747 -3.448 1.743
C -1.221 -2.245 1.286
P -0.822 -1.807 -0.423
C -2.135 -2.506 -1.452
C -2.097 -3.816 -1.923
C -3.162 -4.321 -2.653
C -4.265 -3.519 -2.914
C -4.305 -2.212 -2.448
C -3.241 -1.701 -1.722
C 0.664 -2.778 -0.826
C 1.163 -2.654 -2.125
C 2.365 -3.244 -2.475
C 3.092 -3.956 -1.527
C 2.605 -4.077 -0.235
C 1.393 -3.492 0.116
H -0.783 -0.631 4.229
H -1.757 -2.768 5.061
H -2.369 -4.549 3.471
H -2.010 -4.235 1.046
H -1.230 -4.437 -1.728
H -3.130 -5.338 -3.021
H -5.094 -3.914 -3.488
H -5.161 -1.584 -2.660
H -3.253 -0.675 -1.375
H 0.609 -2.079 -2.860
H 2.739 -3.146 -3.487
H 4.035 -4.413 -1.797
H 3.167 -4.629 0.507
H 1.029 -3.585 1.132
C -2.797 3.359 -4.777
C -3.723 3.680 -3.618
C -3.789 5.159 -3.292
O -3.402 2.914 -2.428
P -1.986 2.631 -1.779
- Using asdcontroller==0.0.11
- drift substracted
- ASD Output format track changed.
-- Between two parts of the text: molecular data --
<<<
ORCA calculation (wB97M-V/def2-TZVPD) on a molecular structure, C19H28IrN9O5S.

Total charge ... 0
2S+1 ... 5
Total energy ... -57478.12669 eV
Frontier orbital gap (spin up / spin down) ... 7.05 / 6.59 eV
Relative energy (zero: lowest compared OMol25 entry of this formula, charge and spin) ... 0.00 kJ/mol
Strongest force on any atom ... 0.50 eV/A

Each line ends with the Löwdin spin population.
Positions of all 63 atoms, in Å:
1 Ir -0.7239 -0.6008 0.2038  2.794
2 N -0.5965 1.5768 -1.0456  0.112
3 C 0.6940 2.0476 -0.5419  0.008
4 C 0.7350 1.8819 0.9769  0.034
5 O 1.2415 2.7365 1.6760  0.070
6 N 0.1166 0.7453 1.4442  0.217
7 C -0.5721 0.8546 2.7189  0.019
8 C -2.0843 0.7915 2.4592  0.021
9 O -2.8561 1.2511 3.2709  0.030
10 O -2.4155 0.1811 1.3518  0.217
11 H -0.6328 1.5404 -2.0570  0.003
12 H -1.3615 2.1542 -0.7131  0.002
13 H 0.9000 3.0986 -0.7530  0.003
14 H 1.4837 1.4435 -0.9953  0.000
15 H -0.3164 1.7724 3.2468  0.001
16 H -0.3307 0.0044 3.3615  0.003
17 N -7.2245 1.5468 -3.1625  0.001
18 C -6.2594 0.6382 -2.7690  0.001
19 C -5.9310 -0.4386 -3.5883  0.000
20 C -4.9997 -1.3733 -3.1746  0.001
21 C -4.3935 -1.2401 -1.9359  0.000
22 C -4.7113 -0.1760 -1.1033  0.001
23 C -5.6360 0.7577 -1.5239  0.000
24 S -3.2027 -2.4039 -1.4027  0.009
25 O -3.4495 -2.6911 -0.0101  0.000
26 O -3.1441 -3.4881 -2.3378  0.006
27 N -1.7962 -1.5700 -1.3867  0.072
28 C -0.9652 -1.4720 -2.4571  0.013
29 N 0.2749 -1.0927 -2.0648  0.096
30 C 1.1956 -0.9322 -3.0036  0.009
31 C 0.9162 -1.1522 -4.3398  0.009
32 C -0.3911 -1.5181 -4.6351  0.000
33 N -1.3372 -1.6674 -3.7210  0.008
34 H -7.4313 1.6023 -4.1445  0.000
35 H -7.2510 2.4296 -2.6832  0.000
36 H -6.4192 -0.5397 -4.5496  0.000
37 H -4.7284 -2.2101 -3.8024  0.000
38 H -4.2382 -0.0890 -0.1326  0.000
39 H -5.8980 1.5865 -0.8767  0.000
40 H 2.1820 -0.6275 -2.6697  0.000
41 H 1.6645 -1.0383 -5.1079  0.001
42 H -0.6967 -1.6858 -5.6621  0.000
43 C 1.2113 -2.0171 4.2738  0.003
44 N 0.8576 -2.4693 2.9415  0.019
45 C 1.9182 -2.3942 1.9530  0.004
46 C -0.4236 -2.6747 2.5470  0.040
47 N -0.7467 -2.5166 1.2846  0.137
48 N -1.3371 -3.0142 3.5078  0.024
49 C -2.7530 -2.8888 3.1848  0.002
50 C -1.0326 -4.0668 4.4644  0.002
51 H 1.7881 -1.0922 4.1978  0.001
52 H 1.8206 -2.7571 4.7997  0.001
53 H 0.3139 -1.8170 4.8543  0.000
54 H 2.8379 -2.7737 2.3997  0.000
55 H 2.0861 -1.3646 1.6235  0.002
56 H 1.6589 -3.0012 1.0895  0.001
57 H -1.6517 -2.9205 1.0470  0.002
58 H -2.9301 -1.9971 2.5879  0.000
59 H -3.3049 -2.8018 4.1201  0.000
60 H -3.1286 -3.7570 2.6339  0.001
61 H 0.0381 -4.1783 4.5920  0.000
62 H -1.4391 -5.0236 4.1202  0.001
63 H -1.4792 -3.8315 5.4313  0.000

Atoms 1-6, force components in eV/Å:
Ir -0.202 -0.125 0.444
N -0.026 0.078 -0.136
C 0.031 0.012 -0.002
C 0.072 0.014 0.100
O -0.016 -0.010 0.020
N 0.042 0.193 -0.008
>>>
-- Here the text continues --
- Fixed closing of graph window.
- to npl format before showing it into the graph.
- Fixed import bugs.
- Fixed QSS import bugs.
- Optimization made in position correctly.
- Using solys2==0.2.4
- Using SPICED...SAFE options from the solys2 package so even if it fails the software doesn't stop.
- Using solys2==0.2.5
- Using solys2==0.2.6
- Wait enough time so the tracker has sent at least the first position